New Jersey Gov. Chris Christie gives the keynote speech Tuesday at the Republican convention.
Inserted here: quantum chemistry results =
~~~
Entry 1:
2 unconnected molecules or ions with the total composition C9H17BrNO5, computed with ωB97M-V/def2-TZVPD.

Calculated values
gap between HOMO and LUMO: 6.8 eV
energy: -3358.076836 Ha
highest occupied orbital energy: -4.23 eV
LUMO: 0.096 hartree

```
! RIJCOSX wB97M-V def2-TZVPD def2/J DEFGRID3
* xyz -1 1
Br -2.72 -0.08 -2.47
O -4.52 3.02 -3.42
O 2.27 -3.34 0.53
O 2.06 1.02 1.76
O -5.14 4.35 -1.67
O -2.64 1.55 -0.20
N 1.19 -0.61 -0.58
C -3.41 1.21 -1.14
C 0.82 -1.98 -0.96
C 0.93 -3.06 0.13
C 2.76 -2.49 1.55
C 3.26 1.51 1.18
C -4.89 1.84 -1.18
C 0.32 -0.02 0.43
C -4.88 3.17 -2.08
C 0.90 1.28 0.97
H 0.56 -3.99 -0.31
H -5.30 1.98 -0.13
H 4.07 1.37 1.90
H 1.10 1.99 0.16
H 0.18 -0.70 1.28
H 3.17 2.58 0.95
H -0.21 -1.97 -1.35
H 3.28 -1.63 1.12
H -5.55 1.08 -1.72
H 1.98 -2.16 2.24
H 3.51 -3.05 2.13
H 3.50 0.95 0.27
H -0.66 0.18 -0.01
H 0.29 -2.86 0.99
H 1.47 -2.26 -1.79
H 2.14 -0.63 -0.23
H 0.17 1.74 1.64
*
```

Table of natural (NBO) atomic charges, one value per atom, all in e:
1. Br -0.05
2. O -0.82
3. O -0.55
4. O -0.56
5. O -0.71
6. O -0.56
7. N -0.62
8. C 0.54
9. C -0.25
10. C -0.08
11. C -0.24
12. C -0.24
13. C -0.60
14. C -0.26
15. C 0.73
16. C -0.07
17. H 0.18
18. H 0.24
19. H 0.18
20. H 0.18
21. H 0.16
22. H 0.17
23. H 0.21
24. H 0.16
25. H 0.24
26. H 0.18
27. H 0.18
28. H 0.16
29. H 0.23
30. H 0.16
31. H 0.20
32. H 0.34
33. H 0.19

Entry 2:
C9H17Cl2N4O7P in the gas phase, computed with ωB97M-V/def2-TZVPD.

Calculated values
structure (SMILES): CONC(=O)NP(NC(=O)OC(CCl)CCl)NC(=O)O[C@@H](C)O
gap between HOMO and LUMO: 6.2 eV
energy: -2360.455865 Ha
highest occupied orbital energy: -6.72 eV
LUMO: -0.017 hartree

```
! RIJCOSX wB97M-V def2-TZVPD def2/J DEFGRID3
* xyz 0 1
Cl -1.47 2.88 5.57
Cl -4.49 2.31 4.64
P 0.18 -1.48 0.16
O 1.19 1.85 -1.42
O 1.99 3.65 -2.45
O 1.23 -4.68 -1.60
O -2.05 -0.33 3.12
O 0.86 -0.17 -2.45
O -0.59 0.82 1.76
O 3.40 -3.03 -2.65
N 2.23 -2.65 -1.95
N 1.11 -0.06 -0.25
N 0.30 -3.04 -0.59
N -0.81 -1.38 1.58
C -1.14 -0.22 2.15
C 1.18 2.52 -2.67
C -2.45 0.91 3.70
C 1.07 0.52 -1.47
C -0.23 2.95 -3.02
C 3.21 -2.86 -4.04
C -1.51 1.17 4.90
C 1.29 -3.48 -1.42
C -3.90 0.72 4.10
H 2.35 -3.46 -4.40
H 2.00 -1.67 -1.90
H 1.04 0.64 0.46
H 4.13 -3.21 -4.50
H -3.99 -0.05 4.88
H -2.40 1.78 3.03
H -0.50 0.92 4.63
H -0.56 3.73 -2.27
H -0.88 2.08 -2.92
H -0.29 -3.75 -0.22
H 1.58 1.90 -3.47
H -1.83 0.49 5.70
H -4.49 0.41 3.25
H -0.32 3.34 -4.04
H 1.90 3.96 -1.52
H 3.02 -1.81 -4.29
H -1.37 -2.19 1.88
*
```

Table of natural (NBO) atomic charges, one value per atom, all in e:
1. Cl -0.06
2. Cl -0.03
3. P 1.09
4. O -0.51
5. O -0.72
6. O -0.65
7. O -0.51
8. O -0.66
9. O -0.70
10. O -0.33
11. N -0.36
12. N -0.86
13. N -0.86
14. N -0.85
15. C 0.87
16. C 0.37
17. C 0.04
18. C 0.89
19. C -0.65
20. C -0.25
21. C -0.37
22. C 0.74
23. C -0.38
24. H 0.19
25. H 0.39
26. H 0.46
27. H 0.20
28. H 0.22
29. H 0.23
30. H 0.23
31. H 0.22
32. H 0.22
33. H 0.45
~~~
End of the quantum chemistry results =
TAMPA, Fla. -– Good cop. Bad cop.
The Republican Party showed the nation one of its most winsome faces on the first night of the GOP's shortened three-day convention, giving Ann Romney the first half of prime time.
Romney gave a sentimental and personal description of her husband, Mitt Romney, the former Massachusetts governor who on Tuesday night became the first Mormon to be nominated for president by either political party.
She was followed by the pit bull, New Jersey Gov. Chris Christie, who stormed onto the stage clapping like a football coach in the fourth quarter, and delivered a gut-busting rebuke to the nation's political leadership and to a self-indulgent culture.
The contrast, which took up the last hour of a night in which the GOP showcased its top female and minority leaders, was clearest when Ann Romney and Christie discussed a topic not often spoken of in political speeches.
"I want to talk to you tonight about that one great thing that unites us … Tonight I want to talk to you about love," Ann Romney said.
Minutes later, in the headline speech of the convention, Christie took on the same theme, with a very different twist.
"I believe we have become paralyzed by our desire to be loved," Christie said.
Both speeches hinged on a relationship: Ann's with Mitt, Christie's with his mom. Ann emphasized her love for Mitt, and their family's love for the country and for others.
"I want to talk to you about the deep and abiding love I have for a man I met at a dance many years ago. And the profound love I have, and I know we share, for this country," she said.
Christie explained how his mother, who died eight years ago, "told me there would be times in your life when you have to choose between being loved and being respected."
Christie explained how his mother, who died eight years ago, "told me there would be times in your life when you have to choose between being loved and being respected."
He used that as an analogy for how he thinks the GOP must not shrink from offering solutions to the nation's biggest problems -– debt, deficits and a sagging entitlement state -– that might be unpopular.
"Tonight, we are going to do what my mother taught me. Tonight, we are going to choose respect over love," he said.
Christie's charisma energized the 20,000 or so delegates and supporters in the Tampa Bay Times Forum. But it was Ann's speech that was more critically important to her husband's political fortunes.
Romney is trailing President Barack Obama badly among women voters, especially in critical swing states like Ohio and Virginia. Romney also is not personally popular, even if more voters trust him on key issues like the economy and jobs.
And so his wife, a 63-year old cancer survivor and multiple sclerosis sufferer, had a dual purpose with her address: make a strong pitch for the female vote, and play up he husband's personal side.
She went for the women by identifying with them.
"It's the moms of this nation -- single, married, widowed -- who really hold this country together. We're the mothers, we're the wives, we're the grandmothers, we're the big sisters, we're the little sisters, and we are the daughters," Ann Romney said.
"I love you women! I hear your voices," she said.
And she made the case that the newly minted GOP nominee does not advertise his good deeds, an implicit acknowledgment that Democratic attacks on his character have hurt his image with many voters who do not know much about the 65-year old former private equity executive.
"This is important. I want you to hear what I'm going to say," Ann Romney said, asking for the crowd's attention in a line not in her prepared remarks. "Mitt doesn't like to talk about how he has helped others because he sees it as a privilege, not a political talking point."
Throughout the three hours of speeches that preceded the last hour, and then again during speeches by Ann Romney and Christie, the GOP declared their party one that stands for hard work and American ingenuity. Many speakers played up their immigrant roots and humble beginnings.
Throughout the three hours of speeches that preceded the last hour, and then again during speeches by Ann Romney and Christie, the GOP declared their party one that stands for hard work and American ingenuity. Many speakers played up their immigrant roots and humble beginnings.
(Data records that have nothing to do with the page)
<<<
No. 1
{"formula": "H2N3O2S", "method": "the ωB97M-V functional and the def2-TZVPD basis", "total_charge": -1, "e_homo_ev": -2.9, "e_lumo_ev": 4.09, "gap_ev": 7.003, "species": ["N", "N", "N", "O", "O", "S", "H", "H"], "xyz": [[2.5642, 0.0510, 0.6717], [1.8143, 0.3955, -0.0780], [-0.0745, -0.4149, 0.2038], [-0.3229, -1.0215, -1.2145], [-0.4624, -1.2244, 0.9890], [-1.4506, 1.0836, -0.0614], [-1.6752, 1.3787, 1.2730], [-0.3929, -0.2480, -1.7837]], "lowdin_charge": [0.00, -0.03, -0.60, -0.25, -0.18, 0.34, -0.25, -0.03]}

***

No. 2
{"formula": "H2N3O2S", "method": "the ωB97M-V functional and the def2-TZVPD basis", "total_charge": -1, "e_homo_ev": -3.0, "e_lumo_ev": 4.03, "gap_ev": 7.062, "species": ["N", "N", "N", "O", "O", "S", "H", "H"], "xyz": [[0.4542, 0.7186, -1.5612], [0.3354, -1.0889, 0.5190], [0.0490, 0.5293, -0.4351], [-0.4573, -0.9267, 1.7104], [-0.2485, 1.3739, 0.3738], [-0.1006, -2.4456, -0.2445], [0.5970, 1.7887, -1.8856], [-0.6292, 0.0507, 1.5231]], "lowdin_charge": [0.02, -0.62, -0.45, -0.25, -0.15, 0.31, 0.08, 0.05]}

***

No. 3
{"formula": "H2N3P3", "method": "the ωB97M-V functional and the def2-TZVPD basis", "total_charge": 0, "e_homo_ev": [-6.6, -7.5], "e_lumo_ev": [-0.67, -0.41], "gap_ev": [5.890, 7.099], "species": ["N", "N", "N", "P", "P", "P", "H", "H"], "xyz": [[0.9121, -1.0122, -0.3241], [-0.0999, 1.2671, 0.4880], [-1.3892, -0.2704, -0.5533], [-0.3930, -1.9756, 0.1820], [-1.8068, 0.9910, 0.5656], [0.2918, 0.3945, -0.9112], [1.8839, -1.2772, -0.3344], [0.6012, 1.8828, 0.8873]], "lowdin_charge": [-0.62, -0.56, -0.74, 0.73, 0.60, 0.56, 0.02, 0.01]}

***

No. 4
{"formula": "H2N4O2", "method": "the ωB97M-V functional and the def2-TZVPD basis", "total_charge": 0, "e_homo_ev": -9.9, "e_lumo_ev": 0.91, "gap_ev": 10.804, "species": ["N", "N", "N", "N", "O", "O", "H", "H"], "xyz": [[1.1143, -0.0742, 0.9062], [-2.2768, 0.4135, 0.5005], [1.7521, 0.6075, -0.0787], [-2.4582, -0.4804, -0.1531], [-2.6639, -1.4143, -0.8204], [0.3098, -0.7858, 0.4135], [1.6926, 0.6173, -1.0624], [2.5302, 1.1163, 0.2943]], "lowdin_charge": [-0.12, 0.23, 0.05, -0.33, 0.09, -0.09, 0.09, 0.08]}

***

No. 5
{"formula": "H2N6", "method": "the ωB97M-V functional and the def2-TZVPD basis", "total_charge": 0, "e_homo_ev": -9.5, "e_lumo_ev": 0.57, "gap_ev": 10.100, "species": ["N", "N", "N", "N", "N", "N", "H", "H"], "xyz": [[0.3957, 1.8870, -0.5932], [-0.9197, 1.7772, -0.5295], [0.9246, 0.7468, -0.3047], [-1.4444, 0.7665, -0.2078], [0.1210, -0.1660, -0.0259], [0.3821, -1.4475, 0.2723], [1.0115, -1.5731, 1.0609], [-0.4708, -1.9908, 0.3279]], "lowdin_charge": [-0.07, -0.14, -0.02, 0.14, -0.18, 0.07, 0.10, 0.10]}

***

No. 6
>>>
"My dad got his first job when he was 6 years old, in a little village in Wales called Nantyffyllon, cleaning bottles at the Colliers Arms," Ann Romney said. "When he was 15, Dad came to America."
Christie said: "I am the son of an Irish father and a Sicilian mother."
Ted Cruz, the GOP's U.S. Senate candidate in Texas, described how his father "was imprisoned and tortured in Cuba, beaten nearly to death."
"He fled to Texas in 1957, not speaking English, with $100 sewn into his underwear. He washed dishes making 50 cents an hour to pay his way through the University of Texas, and to start a small business in the oil and gas industry," Cruz said. " We are all sons and daughters of those who risked everything for freedom, and we have the duty to pass that same opportunity to the generations to follow."
Others who took the podium included Mia Love, the 37-year old daughter of Haitian immigrants who is now mayor of Saratoga Springs, Utah, and is running for Congress; South Carolina Gov. Nikki Haley, the 40-year old daughter of Sikh immigrants from India; and Artur Davis, a former Democratic congressman from Alabama who has switched parties and is now one of the more prominent black men in the GOP.
Davis, who spoke at the Democratic convention in 2008, and was a prominent supporter of Obama, referenced his speech four years ago.
"It turned out I was in the wrong place, so Tampa, my fellow Republicans, thank you for welcoming me," he said.
The attempt to reach out to women and minorities was marred, however, by news reports that one convention-goer allegedly threw nuts at a black CNN camerawoman in the hall and said, "This is how we feed animals."
White men like Wisconsin Gov. Scott Walker, Virginia Gov. Bob McDonnell, and Ohio Gov. John Kasich were relegated to slots earlier in the evening. Christie, a white male himself, was the keynote speaker for a simple reason: few national political figures from either party gives a speech like the 49-year old first-termer, and he has had surprising success in meeting his goals in a state where the legislature is controlled by Democrats.
Romney, Christie said, would be like, well, Christie.
"Mitt Romney will tell us the hard truths we need to hear to put us back on the path to growth and create good-paying private sector jobs again in America," Christie said.
As Christie spoke, Romney -– having walked out on the stage with his wife after Ann finished her speech –- stood and applauded from a VIP box just off the convention floor.
On Wednesday night, Romney's running mate, Rep. Paul Ryan (R-Wis.) will give the prime time speech, and on Thursday, Romney will end the convention with the biggest speech of his life.